Do you ever pull out your camera and point it towards your friends, just for the thrill of watching them tense up? Or is that just this pseudo-sadistic guy? 🙂 There’s something about the dark depths of a camera lens pointing in your direction that can intimidate even the most seasoned, confident individuals. If you’re a photographer trying to capture their essence and tell a story about your subject, then this lens aversion can really make your job difficult.

Inserted here: calculated crystals
=====
First-principles (PBE with a Hubbard U) data for a relaxed Li3Co2Si2O8 crystal, as listed in the Materials Project database.

Computed properties:
Energy of formation from the pure elements = -55.2 kcal/mol of atoms
ρ = 3.16 g/cm³
Distance to the lowest polymorph of the same formula = 14 meV per atom
E = -6.503 eV/atom

CIF file:
```
data_Li3Co2Si2O8
_cell_length_a 5.035
_cell_length_b 11.028
_cell_length_c 6.118
_cell_angle_alpha 90.00
_cell_angle_beta 90.12
_cell_angle_gamma 90.00
_symmetry_space_group_name_H-M 'P 1 21 1'
_symmetry_Int_Tables_number 4
loop_
_symmetry_equiv_pos_as_xyz
'x,y,z'
'-x,y+1/2,-z'
loop_
_atom_site_label
_atom_site_type_symbol
_atom_site_fract_x
_atom_site_fract_y
_atom_site_fract_z
Li1 Li 0.065 0.000 0.250
Li2 Li 0.082 0.008 0.749
Li3 Li 0.431 0.171 0.257
Co1 Co 0.078 0.753 0.493
Co2 Co 0.425 0.414 0.000
Si1 Si 0.077 0.750 0.997
Si2 Si 0.419 0.416 0.496
O1 O 0.000 0.175 0.783
O2 O 0.031 0.177 0.222
O3 O 0.044 0.392 0.999
O4 O 0.092 0.418 0.500
O5 O 0.404 0.764 0.979
O6 O 0.462 0.778 0.509
O7 O 0.474 0.989 0.278
O8 O 0.476 0.985 0.731
```


Entry from the Materials Project database: a relaxed structure of LiBiB2O5 (PBE).

Cell and atoms, written as CIF:
```
data_LiBiB2O5
_chemical_formula_sum 'Li8 Bi8 B16 O40'
_space_group_name_H-M_alt 'C 1 2/c 1'
_space_group_IT_number 15
_cell_length_a 10.435
_cell_length_b 10.859
_cell_length_c 10.227
_cell_angle_alpha 90.00
_cell_angle_beta 116.90
_cell_angle_gamma 90.00
loop_
_space_group_symop_operation_xyz
'x,y,z'
'-x,-y,-z'
'-x,y,-z+1/2'
'x,-y,z+1/2'
'x+1/2,y+1/2,z'
'-x+1/2,-y+1/2,-z'
'-x+1/2,y+1/2,-z+1/2'
'x+1/2,-y+1/2,z+1/2'
loop_
_atom_site_label
_atom_site_type_symbol
_atom_site_fract_x
_atom_site_fract_y
_atom_site_fract_z
Li1 Li 0.190 0.146 0.157
Bi1 Bi 0.000 0.146 0.750
Bi2 Bi 0.000 0.421 0.250
B1 B 0.078 0.326 0.530
B2 B 0.231 0.004 0.910
O1 O 0.032 0.285 0.105
O2 O 0.108 0.299 0.668
O3 O 0.162 0.416 0.500
O4 O 0.173 0.004 0.262
O5 O 0.193 0.091 0.981
```

Computed properties:
corrected total energy (MP2020 scheme) = -7.2725 eV/atom
total DFT energy (no corrections) = -6.8908 eV/atom
formation energy from the elements = -21.55 eV/f.u.
distance to the lowest polymorph of the same formula = 51 meV/atom
=====

Unfortunately, helping photography subjects relax isn’t as easy as following a series of technical steps. I can’t just teach you to do this, that and this other thing, then boom! You’re a people-relaxing expert, and your photos will rule. Each person is a little different, and what calms one person will just irritate another.
Ahhh, people. 🙂
So this post is more about inspiring you to start learning the subtle-yet-complex art of understanding what you need to do to chill even the jumpiest photography subject. Make no mistake either: Being skilled with people is as important as learning composition, lighting and all the other technical jazz you need to know to take fantastic photos.

Fortunately, you were built for this. Aristotle’s quote, “Man is by nature a social animal,” is true. Even if you consider yourself shy, within you is a natural ability to connect with the people around you. It just takes practice. Then, when you do make that connection, relaxation happens on its own.
It’s understandable why people would cringe in front of the lens too. No one wants to be judged. And most people are painfully aware of their physical flaws. Maybe their hair is getting a little thin, their belly is a bit pudgy, or their skin isn’t as clear as they’d like…what will people think?! Heck, even the most beautiful people in the world are extensively Photoshopped before their images are used in the mainstream media.
But with the tips below, you can help your subjects learn to relax and be themselves in front of your lens.
1. See Each Person’s Beauty

People will relax with you when they feel beautiful and appreciated in your presence. You could fake it, if you’re good at that sort of thing. Myself, I’m not good at acting, so whenever I’m working with a person, I look for some aspect of them that I genuinely think is beautiful.
I don’t photograph models either, so with some people, it is tough. I, too, am bombarded with images of human perfection constantly. But with a little practice, you’ll be able to find beauty in the subtlest features and gestures.
2. Blabber, Ask Questions or…

For some photographers, they can talk on and on, and these words fill the air, preventing self-conscious thoughts from creeping in. Sort of like that conversation in the movie, Pulp Fiction, about “uncomfortable silences.”
“Don’t you hate that? Uncomfortable silence. Why do we feel it’s necessary to talk about bulls*** in order to feel comfortable?”
However, I’m not a talker, so that’s never worked for me. However, I am genuinely curious about people, so I use that. I ask questions focusing on subjects that a person is passionate about, and I try to get them to talk. When they light up a little, then I know I’ve hit on the right topic.
For you, maybe talking consistently will be your thing. Maybe it’s asking questions. Or maybe you’ll make up your own unique strategy. Either way, go with a strategy you’re naturally good at.
3. Relax

If you’re relaxed, then your subjects will relax. That’s why you don’t want to try talking a ton, if you’re not a talker. It’ll just be obvious you’re not comfortable, and your subject will mirror that emotion. In fact, our brains are wired to reflect the emotional states of the people around us. Scientists have even found brain cells that imitate the actions of others.
They are called “mirror neurons.” You’ve probably noticed this before. Have you ever been hanging out with a friend who’s stressed, and, even though you’ve been calm all day, now you’re feeling tense?
4. Show Them

When you ask them to pose, don’t just describe what you’re looking for from the safety behind the lens; instead, get in front of the camera and show your subject what you’re talking about. It might even help to be a little goofy, or show them that it doesn’t matter to look a little weird. At least then, they’ll feel good about looking less dorky than you. 😉
5. Tell Them What to Do

Don’t be shy about giving directions. Most subjects want you to tell them what to do. It’s comforting to be following someone who knows what they’re doing. So offer pose suggestions, and go after your vision for the shoot.
Speak clearly and respectfully, saying things like, “That’s great. Let’s try moving your head just a tad to the left,” or “Gorgeous. Now can you move your right hand to the top of your hip bone?”
6. Give Them Something to Do

Give your subject something to do or hold. Be sure it’s something they feel comfortable with. The iconic photographer, Henri Cartier Bresson, took a photograph of the artist Henri Matisse in 1944 when he was sitting in a chair in his home and holding one of his pet birds. Looking at the image, there’s something so natural about the photograph, and maybe it’s because Henri’s holding something he’s so familiar with.
7. Be Aware of Your Mini-Gestures

The article is interrupted by data records:
-- begin --
1.
Compound: FeOF
Source: Materials Project
Functional: GGA+U
Structure: relaxed

Calculated values
Size of the total moment (μB per cell): 30.0
Calculated formation energy (eV/atom): -2.05

Cell: 6.7152 3.0990 10.6110 Å, 90.00 108.34 90.00°
Atoms (fractional coordinates):
Fe (0.0000, 0.0000, 0.0000)
Fe (0.1432, 0.5000, 0.3600)
Fe (0.3037, 0.0000, 0.6669)
Fe (0.4752, 0.5000, 0.0262)
Fe (0.6677, 0.0000, 0.3337)
Fe (0.8531, 0.5000, 0.6931)
O (0.0213, 0.0000, 0.6824)
O (0.2703, 0.5000, 0.5528)
O (0.2970, 0.0000, 0.0142)
O (0.5950, 0.5000, 0.2193)
O (0.9188, 0.5000, 0.8860)
O (0.9658, 0.0000, 0.3507)
F (0.0592, 0.5000, 0.1473)
F (0.3561, 0.0000, 0.3480)
F (0.4000, 0.5000, 0.8138)
F (0.6303, 0.0000, 0.6826)
F (0.6900, 0.0000, 0.0174)
F (0.7169, 0.5000, 0.4805)

2.
Compound: MnFe4Bi5O15
Source: Materials Project
Functional: GGA+U
Structure: relaxed

Calculated values
Size of the total moment (μB per cell): 48.0
ΔE to the lowest computed polymorph (meV per atom): 0
Calculated formation energy (eV/atom): -1.67

Cell: 5.7454 9.7882 12.5197 Å, 97.83 101.84 106.06°
Atoms (fractional coordinates):
Mn (0.0000, 0.0000, 0.0000)
Mn (0.4992, 0.5010, 0.5006)
Fe (0.0924, 0.9003, 0.2979)
Fe (0.1960, 0.8013, 0.5984)
Fe (0.2894, 0.7007, 0.8979)
Fe (0.3929, 0.6006, 0.1982)
Fe (0.5927, 0.4004, 0.7969)
Fe (0.6984, 0.3031, 0.0993)
Fe (0.7907, 0.2010, 0.3980)
Fe (0.8897, 0.0996, 0.6981)
Bi (0.0787, 0.3558, 0.9308)
Bi (0.1837, 0.2578, 0.2323)
Bi (0.2745, 0.1565, 0.5308)
Bi (0.3809, 0.0575, 0.8311)
Bi (0.4852, 0.9610, 0.1331)
Bi (0.5803, 0.8566, 0.4312)
Bi (0.6807, 0.7566, 0.7339)
Bi (0.7722, 0.6556, 0.0280)
Bi (0.8840, 0.5583, 0.3313)
Bi (0.9866, 0.4577, 0.6291)
O (0.0184, 0.0967, 0.8707)
O (0.0280, 0.0841, 0.3475)
O (0.0454, 0.9276, 0.6820)
O (0.0602, 0.9072, 0.1364)
O (0.0927, 0.4249, 0.1295)
O (0.1364, 0.3470, 0.4916)
O (0.2173, 0.8860, 0.9467)
O (0.2227, 0.8971, 0.4690)
O (0.2398, 0.7264, 0.2802)
O (0.2631, 0.7039, 0.7371)
O (0.2899, 0.2240, 0.7298)
O (0.3780, 0.1603, 0.0944)
O (0.4142, 0.6956, 0.0687)
O (0.4350, 0.5214, 0.8795)
O (0.4354, 0.6864, 0.5469)
O (0.4617, 0.5069, 0.3412)
O (0.4877, 0.0249, 0.3261)
O (0.5604, 0.9543, 0.6904)
O (0.6056, 0.4955, 0.6646)
O (0.6290, 0.4868, 0.1491)
O (0.6315, 0.3280, 0.4789)
O (0.6632, 0.3047, 0.9382)
O (0.6678, 0.8148, 0.9243)
O (0.7604, 0.7553, 0.2894)
O (0.8251, 0.2963, 0.2694)
O (0.8275, 0.2857, 0.7474)
O (0.8476, 0.1256, 0.0784)
O (0.8539, 0.1001, 0.5370)
O (0.9073, 0.6264, 0.5278)
O (0.9542, 0.5555, 0.8860)

3.
Compound: Li9Mn2Co5O16
Source: Materials Project
Functional: GGA+U
Structure: relaxed

Calculated values
Size of the total moment (μB per cell): 12.6
ΔE to the lowest computed polymorph (meV per atom): 71
Calculated formation energy (eV/atom): -1.79

Cell: 2.9893 9.7842 10.1270 Å, 77.38 89.03 87.92°
Atoms (fractional coordinates):
Li (0.0000, 0.0000, 0.0000)
Li (0.0011, 0.4995, 0.7501)
Li (0.0056, 0.4976, 0.2549)
Li (0.0113, 0.7518, 0.3848)
Li (0.4901, 0.7449, 0.1312)
Li (0.4963, 0.2485, 0.8738)
-- stop --

A downward glance, a subtle sigh or a mild frown can all throw your subject off. The small gestures you make say a lot. Looking down after someone speaks is a signal you’re bored (look to the side instead). If you mutter to yourself, “Oh, no,” even if it’s your own mistake, it could give your subject the impression they are not doing a good job, and they freeze.
Unfortunately, these gestures are often done unconsciously, too. You might even unwittingly be the cause of your subject’s nerves. So practice maintaining a positive frame of mind throughout your shoots. Don’t let anything throw you off. You can even start training now as you talk to people during your daily life. Then in time, you’ll naturally be a “pro people relaxer.” 🙂
Are you struggling with helping your photography subjects relax? If so, and you have a specific question, please ask in the comments below. We’ll try to answer you personally, and maybe your question will inspire another photographer like yourself!
Good article. For corporate headshots, I attempt to engage the subject in conversation for a couple of minutes before I pick up the camera, to break the ice as it were. Generally people respond well to this, but still sometimes they freeze. Some people are just plain uncomfortable regardless of the amount of charm, cajoling, levity, comedy I try to inject bits tough. Portrait/beauty/fashion is generally different and easier though since the subject is complicit and actually *wants* to be photographed. Different ball game altogether, a lot easier than reluctant corporate types
Hey Hugh, I hear you about warming people up first. And how some people are tough… heck, maybe it’s even impossible for some people look completely natural. I know for myself it’s taken a long time not to look super uncomfortable and I still do at times.
I wonder if getting your subject a drink may help LOL
I like where you’re going with that Julia. Maybe try boozing them up first at the pre-interview to look out for sweatiness or uber red cheeks though 🙂
my case is quite differ most time I am the person in the mood of not been relaxed.whenever am not getting what I want from my subject matter believing After all the instruction and practical example I had shown the outcome of what am getting is not what I want.please how can I help myself to help my subject and improve on my creativity about that…